Assignment.
Start at the top of the block below and set down each line, ending with the one that has "-5.285329 0.0".
Data.
- - -
Record 1
79
Properties=species:S:1:pos:R:3:forces:R:3:lowdin_charge:R:1 method="wB97M-V/def2-TZVPD" s2=0.801 orbital_gap_ev="5.3171 / 5.5355" total_energy_ha=-6027.9559 lumo_energy_ev="-1.15 / -1.09" spin_multiplicity=2
V 0.203359 -0.166694 -1.081367 1.0 -0.6 -0.4 0.67
C 2.966926 1.397587 1.807360 -0.1 0.3 0.1 -0.12
C 2.413228 0.607466 0.842802 -0.3 0.0 -0.2 -0.14
N 1.122776 0.756284 0.446434 0.3 0.5 0.9 -0.02
C 0.401372 1.695034 1.114472 0.0 -0.3 -0.2 -0.19
C 1.018763 2.512076 2.071756 0.0 0.1 0.1 -0.06
N 2.276057 2.389600 2.421227 0.1 -0.2 -0.1 0.10
C -0.989039 1.684523 0.763676 0.0 -0.4 -0.1 -0.20
C -2.024507 2.348253 1.401946 0.0 0.2 0.0 0.06
C -3.339603 2.095953 1.048910 -0.2 -0.1 -0.1 -0.14
C -3.584518 1.097894 0.085974 -0.3 0.4 0.2 0.06
C -2.538590 0.452100 -0.507293 0.4 -0.4 -0.1 -0.20
N -1.238449 0.772064 -0.224561 -0.3 0.5 0.2 -0.01
C -2.617292 -0.777808 -1.292152 0.2 0.3 0.2 -0.19
C -3.775503 -1.380796 -1.776736 -0.2 -0.1 0.0 -0.06
N -3.777435 -2.584651 -2.317932 0.0 0.1 0.1 0.10
C -2.597333 -3.215808 -2.372107 -0.1 0.0 0.0 -0.09
C -1.429883 -2.618278 -1.965480 0.1 0.2 0.2 -0.11
N -1.421738 -1.379417 -1.445564 -0.8 -0.6 0.0 -0.01
C -4.465376 2.794653 1.713728 0.2 -0.1 -0.1 -0.18
C -5.591811 3.178307 0.997880 -0.1 0.0 -0.1 -0.02
C -6.621037 3.835596 1.653225 0.0 0.0 0.2 -0.14
N -6.604339 4.128310 2.955294 0.2 -0.1 -0.1 0.06
C -5.520786 3.750643 3.637846 -0.1 0.1 -0.1 -0.14
C -4.441185 3.092317 3.070656 0.0 0.0 0.1 -0.02
H 3.995530 1.245181 2.109033 0.0 0.0 0.0 0.12
H 2.976325 -0.187177 0.382049 0.0 0.0 -0.1 0.09
H 0.439687 3.282539 2.570573 0.0 0.0 0.0 0.12
H -1.799445 3.056917 2.189276 0.0 0.0 0.0 0.12
H -4.600264 0.786654 -0.126451 0.0 0.0 0.0 0.12
H -4.726392 -0.863680 -1.708871 0.0 0.0 0.0 0.12
H -2.584482 -4.219158 -2.777160 0.0 0.0 0.0 0.12
H -0.478257 -3.123660 -2.043271 0.1 0.0 0.0 0.10
H -5.661027 2.988600 -0.066952 0.0 0.0 0.0 0.11
H -7.502432 4.146917 1.102734 0.0 0.0 0.0 0.11
H -5.517031 3.983059 4.697236 0.0 0.0 0.0 0.11
H -3.605262 2.790120 3.690078 0.0 0.0 0.0 0.11
C 0.039069 -0.168265 -3.402866 0.1 0.1 -0.1 -0.26
C 1.243937 -0.835997 -3.074959 0.1 0.1 0.0 -0.25
C 2.074425 0.094240 -2.396352 0.0 0.1 -0.1 -0.26
C 1.367451 1.326311 -2.278535 0.2 0.1 -0.3 -0.27
C 0.091333 1.146328 -2.870177 0.1 0.2 -0.5 -0.28
C -0.965356 2.187700 -3.085411 0.0 0.0 0.0 -0.01
C 1.946761 2.628441 -1.819779 0.0 0.0 0.1 -0.01
C 3.528935 -0.140462 -2.113640 0.0 0.0 0.1 -0.02
C 1.688252 -2.205139 -3.496839 -0.1 0.0 0.1 -0.02
C -1.038477 -0.642508 -4.323795 -0.1 -0.1 0.1 -0.01
H -1.964593 1.808086 -2.864482 0.0 0.0 0.0 0.07
H -0.967480 2.522961 -4.125625 0.0 0.0 0.0 0.09
H -0.807193 3.060917 -2.453569 0.0 0.0 0.0 0.08
H 2.522223 2.533567 -0.898052 0.0 0.0 0.0 0.07
H 1.173046 3.376431 -1.649881 0.0 0.0 0.0 0.08
H 2.620784 3.019827 -2.584769 0.0 0.0 0.0 0.10
H 3.708243 -1.073954 -1.573295 0.0 0.0 0.0 0.09
H 3.970698 0.676561 -1.543715 0.0 0.0 0.0 0.08
H 4.071939 -0.212121 -3.059727 0.0 0.0 0.0 0.10
H 1.999525 -2.814242 -2.645290 0.0 0.0 0.0 0.08
H 2.544079 -2.134877 -4.171805 0.0 0.0 0.0 0.09
H 0.903003 -2.744087 -4.025794 0.0 0.0 0.0 0.07
H -0.923715 -0.137346 -5.285329 0.0 0.0 0.0 0.10
H -2.039321 -0.406771 -3.953683 0.0 0.0 0.0 0.08
H -0.989988 -1.714695 -4.505350 0.0 0.0 0.0 0.07
Se -0.559630 -1.819602 1.699038 0.1 -0.2 0.2 0.20
O 3.659002 -6.123006 2.460171 0.1 0.0 -0.1 -0.27
S 4.076743 -4.862474 1.927679 -0.1 -0.1 0.0 0.64
O 5.355685 -4.724624 1.299896 0.0 -0.1 0.0 -0.28
N 2.895599 -4.314989 0.880475 -0.2 0.1 0.0 -0.06
C 2.316399 -3.268575 1.345157 0.3 0.1 -0.1 -0.64
S 1.043398 -2.562499 0.344293 -0.2 0.0 0.1 0.42
C 2.847909 -2.740306 2.652636 -0.1 0.0 -0.3 -0.20
C 2.576930 -1.566564 3.336233 -0.1 0.0 0.1 -0.05
C 3.315956 -1.286964 4.484042 0.0 0.0 -0.1 -0.05
C 4.303266 -2.157111 4.939310 0.0 0.1 0.0 -0.06
C 4.597851 -3.319810 4.238317 -0.1 0.0 0.0 -0.03
C 3.854138 -3.574728 3.104406 0.2 0.1 0.2 -0.23
H 1.799677 -0.896934 2.994903 0.0 -0.1 0.0 0.05
H 3.116509 -0.372538 5.029895 0.0 0.0 0.0 0.11
- - -
Completed.
Record 1
79
Properties=species:S:1:pos:R:3:forces:R:3:lowdin_charge:R:1 method="wB97M-V/def2-TZVPD" s2=0.801 orbital_gap_ev="5.3171 / 5.5355" total_energy_ha=-6027.9559 lumo_energy_ev="-1.15 / -1.09" spin_multiplicity=2
V 0.203359 -0.166694 -1.081367 1.0 -0.6 -0.4 0.67
C 2.966926 1.397587 1.807360 -0.1 0.3 0.1 -0.12
C 2.413228 0.607466 0.842802 -0.3 0.0 -0.2 -0.14
N 1.122776 0.756284 0.446434 0.3 0.5 0.9 -0.02
C 0.401372 1.695034 1.114472 0.0 -0.3 -0.2 -0.19
C 1.018763 2.512076 2.071756 0.0 0.1 0.1 -0.06
N 2.276057 2.389600 2.421227 0.1 -0.2 -0.1 0.10
C -0.989039 1.684523 0.763676 0.0 -0.4 -0.1 -0.20
C -2.024507 2.348253 1.401946 0.0 0.2 0.0 0.06
C -3.339603 2.095953 1.048910 -0.2 -0.1 -0.1 -0.14
C -3.584518 1.097894 0.085974 -0.3 0.4 0.2 0.06
C -2.538590 0.452100 -0.507293 0.4 -0.4 -0.1 -0.20
N -1.238449 0.772064 -0.224561 -0.3 0.5 0.2 -0.01
C -2.617292 -0.777808 -1.292152 0.2 0.3 0.2 -0.19
C -3.775503 -1.380796 -1.776736 -0.2 -0.1 0.0 -0.06
N -3.777435 -2.584651 -2.317932 0.0 0.1 0.1 0.10
C -2.597333 -3.215808 -2.372107 -0.1 0.0 0.0 -0.09
C -1.429883 -2.618278 -1.965480 0.1 0.2 0.2 -0.11
N -1.421738 -1.379417 -1.445564 -0.8 -0.6 0.0 -0.01
C -4.465376 2.794653 1.713728 0.2 -0.1 -0.1 -0.18
C -5.591811 3.178307 0.997880 -0.1 0.0 -0.1 -0.02
C -6.621037 3.835596 1.653225 0.0 0.0 0.2 -0.14
N -6.604339 4.128310 2.955294 0.2 -0.1 -0.1 0.06
C -5.520786 3.750643 3.637846 -0.1 0.1 -0.1 -0.14
C -4.441185 3.092317 3.070656 0.0 0.0 0.1 -0.02
H 3.995530 1.245181 2.109033 0.0 0.0 0.0 0.12
H 2.976325 -0.187177 0.382049 0.0 0.0 -0.1 0.09
H 0.439687 3.282539 2.570573 0.0 0.0 0.0 0.12
H -1.799445 3.056917 2.189276 0.0 0.0 0.0 0.12
H -4.600264 0.786654 -0.126451 0.0 0.0 0.0 0.12
H -4.726392 -0.863680 -1.708871 0.0 0.0 0.0 0.12
H -2.584482 -4.219158 -2.777160 0.0 0.0 0.0 0.12
H -0.478257 -3.123660 -2.043271 0.1 0.0 0.0 0.10
H -5.661027 2.988600 -0.066952 0.0 0.0 0.0 0.11
H -7.502432 4.146917 1.102734 0.0 0.0 0.0 0.11
H -5.517031 3.983059 4.697236 0.0 0.0 0.0 0.11
H -3.605262 2.790120 3.690078 0.0 0.0 0.0 0.11
C 0.039069 -0.168265 -3.402866 0.1 0.1 -0.1 -0.26
C 1.243937 -0.835997 -3.074959 0.1 0.1 0.0 -0.25
C 2.074425 0.094240 -2.396352 0.0 0.1 -0.1 -0.26
C 1.367451 1.326311 -2.278535 0.2 0.1 -0.3 -0.27
C 0.091333 1.146328 -2.870177 0.1 0.2 -0.5 -0.28
C -0.965356 2.187700 -3.085411 0.0 0.0 0.0 -0.01
C 1.946761 2.628441 -1.819779 0.0 0.0 0.1 -0.01
C 3.528935 -0.140462 -2.113640 0.0 0.0 0.1 -0.02
C 1.688252 -2.205139 -3.496839 -0.1 0.0 0.1 -0.02
C -1.038477 -0.642508 -4.323795 -0.1 -0.1 0.1 -0.01
H -1.964593 1.808086 -2.864482 0.0 0.0 0.0 0.07
H -0.967480 2.522961 -4.125625 0.0 0.0 0.0 0.09
H -0.807193 3.060917 -2.453569 0.0 0.0 0.0 0.08
H 2.522223 2.533567 -0.898052 0.0 0.0 0.0 0.07
H 1.173046 3.376431 -1.649881 0.0 0.0 0.0 0.08
H 2.620784 3.019827 -2.584769 0.0 0.0 0.0 0.10
H 3.708243 -1.073954 -1.573295 0.0 0.0 0.0 0.09
H 3.970698 0.676561 -1.543715 0.0 0.0 0.0 0.08
H 4.071939 -0.212121 -3.059727 0.0 0.0 0.0 0.10
H 1.999525 -2.814242 -2.645290 0.0 0.0 0.0 0.08
H 2.544079 -2.134877 -4.171805 0.0 0.0 0.0 0.09
H 0.903003 -2.744087 -4.025794 0.0 0.0 0.0 0.07
H -0.923715 -0.137346 -5.285329 0.0 0.0 0.0 0.10